Most parents take certain steps to protect their children in the event of their premature death. Drafting a will or other estate documents, designating a guardian, obtaining life insurance and naming appropriate beneficiary designations on IRAs and 401k plans are all important components of an effective estate plan. However, most parents should take additional measures to provide guidance on how their financial assets are managed for their children’s benefit. In the event of your death, consider the following:
Would you like to avoid the potential financial pitfall of your children inheriting a sizable sum of money at an early age?
Would you like to have some control over who manages your children’s financial assets?
Would you like to provide guidance on the types of expenses your assets should be used to cover?
-- These data records were left in the article by mistake --
Theoretical X-ray diffraction stick pattern
Compound: Hg3S2Cl2
Radiation: Cu Kα, 1.54184 Å
Structure: a cell relaxed with PBE

Atomic structure:
```
Hg3S2Cl2
1.0
-4.611 4.611 4.611
4.611 -4.611 4.611
4.611 4.611 -4.611
Hg S Cl
6 4 4
direct
0.197 0.947 0.250
0.250 0.197 0.947
0.303 0.553 0.750
0.553 0.750 0.303
0.750 0.303 0.553
0.947 0.250 0.197
0.000 0.524 0.500
0.500 0.000 0.524
0.524 0.500 0.000
0.976 0.976 0.976
0.000 0.011 0.500
0.011 0.500 0.000
0.489 0.489 0.489
0.500 0.000 0.011
```

Most intense lines, 10° ≤ 2θ ≤ 90°, in order of rising 2θ:
2θ 13.58, rel. 33.8
2θ 23.63, rel. 100.0
2θ 30.66, rel. 49.4
2θ 33.67, rel. 42.3
2θ 36.46, rel. 28.1
2θ 39.07, rel. 30.9
2θ 41.55, rel. 28.8
2θ 50.46, rel. 39.2
2θ 54.50, rel. 23.3
2θ 58.35, rel. 16.4
2θ 62.04, rel. 23.7
2θ 85.56, rel. 15.6

=====

Starting from a GGA-PBE-relaxed structure, the XRD peak list of Pr8Ru3RhI4 was calculated for λ = 1.5418 Å (Cu Kα).
No peak broadening, texture or thermal motion is included.

The 8 most intense peaks (10 to 90 degrees two-theta), low angle first:
10.74 deg, intensity 11
28.53 deg, intensity 100
30.57 deg, intensity 14
38.28 deg, intensity 27
43.19 deg, intensity 38
52.58 deg, intensity 18
55.16 deg, intensity 11
70.32 deg, intensity 15

Structural model:
Unit cell a=9.550 b=9.550 c=9.550 alpha=52.04 beta=52.04 gamma=52.04
Fractional positions:
1 Pr 0.223 0.731 0.731
2 Pr 0.229 0.229 0.229
3 Pr 0.269 0.269 0.777
4 Pr 0.269 0.777 0.269
5 Pr 0.731 0.223 0.731
6 Pr 0.731 0.731 0.223
7 Pr 0.771 0.771 0.771
8 Pr 0.777 0.269 0.269
9 Ru 0.000 0.000 0.500
10 Ru 0.000 0.500 0.000
11 Ru 0.500 0.000 0.000
12 Rh 0.500 0.500 0.500
13 I 0.000 0.000 0.000
14 I 0.000 0.500 0.500
15 I 0.500 0.000 0.500
16 I 0.500 0.500 0.000
At your death, would you like to gradually give your children access to their inheritance based on their age or other benchmarks (like graduating from college)?
If you answered yes to any of these questions, you should consider incorporating trust provisions into your estate plan. A properly drafted trust can help protect your children and preserve your assets.
What is a trust and how is it funded?
In a general sense, a Trust is simply a document, or a provision in a document, that outlines how certain assets are to be managed and ultimately distributed. Trusts can be funded in a variety of methods including titling property in the name of the trust, naming a trust as the beneficiary of life insurance policies or retirement plans or they can be funded through the probate process by provisions in a will.
What are common components of trusts that are specifically designed for the benefit of children whose parents are deceased?
The trust names a trustee – Through the drafting of a trust, the grantor (in this case the parent), identifies a trustee. The trustee has a fiduciary obligation to manage and disburse trust assets per the terms of the trust. Oftentimes the trustee is also the child’s designated guardian. However, this is not always the case as sometimes the guardian may not be financially savvy enough to handle all of the financial requirements of being the trustee.
The trust gives guidance on the appropriate uses of trust assets – Trust provisions can be as accommodating or as restrictive as the grantor prefers. Some trusts specify that assets be used as the trustee sees fit, while others earmark trust assets only for health, maintenance and education of the beneficiaries (in this case the children).
### Data records, as found in the file
- - -
# PrNdCo2Si4
Simulated PXRD pattern, Cu Kα. Input: the PBE geometry in OQMD.
Lines closer than 0.1° are merged.

Top 10 peaks for 2θ = 15–90°, sorted by position:
24.7°, I 29, hkl 0 1 1
30.7°, I 34, hkl 1 1 0
31.0°, I 48, hkl 1 1 -1
31.6°, I 36, hkl 0 1 2
34.4°, I 100, hkl 1 0 2
35.2°, I 36, hkl 1 1 -2
35.8°, I 43, hkl 1 0 -3
40.8°, I 39, hkl 0 1 3
41.8°, I 33, hkl 2 0 -1
44.8°, I 34, hkl 0 2 0

Crystal structure
a = 4.321 Å, b = 4.042 Å, c = 8.145 Å
α = 90.00°, β = 103.17°, γ = 90.00°
Space group Pm (No. 6)
Asymmetric unit:
Pr  0.000  0.000  0.000 (multiplicity 1)
Nd  0.197  0.500  0.406 (multiplicity 1)
Co  0.467  0.500  0.817 (multiplicity 1)
Co  0.728  0.000  0.588 (multiplicity 1)
Si  0.280  0.000  0.695 (multiplicity 1)
Si  0.554  0.500  0.110 (multiplicity 1)
Si  0.644  0.000  0.297 (multiplicity 1)
Si  0.915  0.500  0.709 (multiplicity 1)


# YHo2Hg5
Simulated PXRD pattern, Cu Kα. Input: the PBE geometry in OQMD.
Lines closer than 0.1° are merged.

Top 10 peaks for 2θ = 15–90°, sorted by position:
34.2°, I 23, hkl 0 0 4
34.9°, I 100, hkl 1 2 2
35.2°, I 27, hkl 2 0 0
49.9°, I 16, hkl 2 0 4
50.3°, I 8, hkl 0 4 0
61.7°, I 12, hkl 1 2 6
62.3°, I 7, hkl 0 4 4
62.9°, I 27, hkl 3 2 2
73.6°, I 9, hkl 2 4 4
84.4°, I 6, hkl 1 6 2

Crystal structure
a = 5.098 Å, b = 7.252 Å, c = 10.481 Å
α = 90.00°, β = 90.00°, γ = 90.00°
Space group Amm2 (No. 38)
Asymmetric unit:
Y  0.000  0.000  0.000 (multiplicity 2)
Ho  0.000  0.000  0.560 (multiplicity 2)
Ho  0.500  0.000  0.255 (multiplicity 2)
Hg  0.000  0.219  0.282 (multiplicity 4)
Hg  0.500  0.000  0.761 (multiplicity 2)
Hg  0.500  0.243  0.505 (multiplicity 4)


# KCoAu3C6N6
Simulated PXRD pattern, Cu Kα. Input: the PBE geometry in OQMD.
Lines closer than 0.1° are merged.

Top 10 peaks for 2θ = 15–90°, sorted by position:
19.3°, I 85, hkl 1 0 1
23.3°, I 44, hkl 0 0 2
29.3°, I 42, hkl 2 -1 1
31.0°, I 69, hkl 2 0 0
33.2°, I 100, hkl 2 0 1
39.2°, I 83, hkl 2 0 2
47.7°, I 41, hkl 0 0 4
58.0°, I 27, hkl 2 0 4
60.7°, I 31, hkl 4 -2 2
69.8°, I 26, hkl 4 0 2

Crystal structure
a = 6.6559 Å, b = 6.6559 Å, c = 7.6229 Å
α = 90.00°, β = 90.00°, γ = 120.00°
Space group P312 (No. 149)
Asymmetric unit:
K  0.0000  0.0000  0.0000 (multiplicity 1)
Co  0.6667  0.3333  0.0000 (multiplicity 1)
Au  0.1715  0.3430  0.5000 (multiplicity 3)
C  0.0092  0.3425  0.2814 (multiplicity 6)
N  0.4344  0.0965  0.1568 (multiplicity 6)


# Gd2Be2SiGe
Simulated PXRD pattern, Cu Kα. Input: the PBE geometry in OQMD.
Lines closer than 0.1° are merged.

Top 10 peaks for 2θ = 15–90°, sorted by position:
21.7°, I 14, hkl 0 0 2
26.3°, I 47, hkl 1 0 0
34.3°, I 100, hkl 1 0 2
44.3°, I 11, hkl 0 0 4
46.3°, I 28, hkl 1 1 0
52.2°, I 15, hkl 1 0 4
58.9°, I 21, hkl 2 0 2
66.0°, I 20, hkl 1 1 4
75.0°, I 10, hkl 1 0 6
78.1°, I 19, hkl 2 1 2

Crystal structure
a = 3.9196 Å, b = 3.9196 Å, c = 8.1854 Å
α = 90.00°, β = 90.00°, γ = 120.00°
Space group P-6m2 (No. 187)
Asymmetric unit:
Gd  0.0000  0.0000  0.2475 (multiplicity 2)
- - -
The trust spells-out a final distribution arrangement and ultimate trust termination – Trusts generally set forth a timeline as to when children would ultimately receive their inheritance. Most parents would like to ensure that their children are mature enough to handle money effectively before they receive a sizable sum of money. Therefore, trust provisions may specify that children would receive laddered distributions. For example, their child would receive 1/3 of the trust at age 25, 1/3 at age 30 and the final 1/3 at age 35.
Is an attorney needed to draft trust documents?
Estate planning is a complex and dynamic component of the financial planning process. There are many financial, legal and practical matters involved that we believe warrant the use of a qualified estate planning attorney. Especially with the enactment of the Secure Act, now more than ever, clients should review their trust documents with their estate planning attorney.